Copy all of the data underneath without altering anything.
/*
Entry 1:
*/
Entry 1: